• Contents:
/*
Entry 1:
DFT (PBE) results for Ba2RuAu after structural relaxation.

Computed properties:
Its formation energy is 0.00 eV/atom. The space group is Amm2, No. 38.

Cell lengths 4.8075, 4.8983, 6.1547 Å; angles 66.55, 90.00, 90.00 degrees
Atoms (fractional coordinates):
Au: 0.5000 0.5757 0.7235
Ba: 0.0000 0.9872 0.9006
Ba: 0.5000 0.2737 0.3277
Ru: 0.0000 0.6633 0.5481

Entry 2:
DFT (PBE) results for BaRuAu2 after structural relaxation.

Computed properties:
Its formation energy is 0.33 eV/atom. The space group is Imm2, No. 44. As for the distance to the lowest polymorph of the same formula: 0.385 eV per atom.

Cell lengths 5.8892, 5.8892, 5.8892 Å; angles 144.25, 128.47, 64.30 degrees
Atoms (fractional coordinates):
Au: 0.9881 0.9881 0.0000
Au: 0.2267 0.7267 0.5000
Ba: 0.5079 0.5079 0.0000
Ru: 0.7772 0.2772 0.5000

Entry 3:
DFT (PBE) results for Ba2RuAu after structural relaxation.

Computed properties:
Its formation energy is 0.22 eV/atom. The space group is P4mm, No. 99.

Cell lengths 3.7984, 3.7984, 9.2256 Å; angles 90.00, 90.00, 90.02 degrees
Atoms (fractional coordinates):
Au: 0.5000 0.5000 0.6724
Ba: 0.0000 0.0000 0.8990
Ba: 0.5000 0.5000 0.3425
Ru: 0.0000 0.0000 0.5862

For each record above, in turn, the calculated size of the total moment values are 0.0000 0.3662 0.0002 μB/atom.

----------

one) VASP calculation (PBE) on a geometry-optimized Pm2SnAu3 structure.

Cell lengths 9.598, 9.056, 5.987 Å; angles 76.27, 66.43, 37.30 degrees
Atoms (fractional coordinates):
1 Pm 0.237 0.763 0.763
2 Pm 0.250 0.250 0.250
3 Pm 0.750 0.750 0.750
4 Pm 0.763 0.237 0.237
5 Sn 0.335 0.335 0.665
6 Sn 0.665 0.665 0.335
7 Au 0.168 0.168 0.832
8 Au 0.168 0.665 0.335
9 Au 0.335 0.832 0.168
10 Au 0.665 0.168 0.832
11 Au 0.832 0.335 0.665
12 Au 0.832 0.832 0.168

Properties
Magnetic moment in μB/atom: 0.00
DOS at the Fermi energy in states/eV/cell: 6.63
SG: Fmmm (69)

two) VASP calculation (PBE) on a geometry-optimized Pm2SnAu3 structure.

Cell lengths 3.628, 4.709, 8.426 Å; angles 90.00, 90.00, 90.00 degrees
Atoms (fractional coordinates):
1 Pm 0.000 0.000 0.000
2 Pm 0.000 0.500 0.461
3 Sn 0.500 0.500 0.808
4 Au 0.500 0.000 0.315
5 Au 0.500 0.000 0.644
6 Au 0.500 0.500 0.140

Properties
Magnetic moment in μB/atom: 0.00
DOS at the Fermi energy in states/eV/cell: 1.96
SG: Pmm2 (25)

It is one) that is the least stable of them.

one) VASP calculation (PBE) on a geometry-optimized PmSn2Au2 structure.

Cell lengths 4.596, 4.693, 11.408 Å; angles 90.00, 90.15, 90.00 degrees
Atoms (fractional coordinates):
1 Pm 0.237 0.250 0.270
2 Pm 0.763 0.750 0.730
3 Sn 0.292 0.750 0.982
4 Sn 0.308 0.250 0.631
5 Sn 0.692 0.750 0.369
6 Sn 0.708 0.250 0.018
7 Au 0.139 0.250 0.854
8 Au 0.199 0.750 0.511
9 Au 0.801 0.250 0.489
10 Au 0.861 0.750 0.146

Properties
Magnetic moment in μB/atom: 0.00
DOS at the Fermi energy in states/eV/cell: 3.46
SG: P2_1/m (11)

two) VASP calculation (PBE) on a geometry-optimized PmSn2Au2 structure.

Cell lengths 4.817, 4.822, 6.376 Å; angles 81.23, 89.84, 60.05 degrees
Atoms (fractional coordinates):
1 Pm 0.000 0.000 0.000
2 Sn 0.368 0.262 0.299
3 Sn 0.632 0.738 0.701
4 Au 0.303 0.396 0.748
5 Au 0.697 0.604 0.252

Properties
Magnetic moment in μB/atom: 0.00
DOS at the Fermi energy in states/eV/cell: 2.32
SG: P-1 (2)

It is one) that is the least stable of them.

one) VASP calculation (PBE) on a geometry-optimized PmSn2Au6 structure.

Cell lengths 8.606, 8.606, 5.870 Å; angles 95.63, 95.63, 114.97 degrees
Atoms (fractional coordinates):
1 Pm 0.179 0.821 0.750
2 Pm 0.821 0.179 0.250
3 Sn 0.253 0.440 0.045
4 Sn 0.440 0.253 0.545
5 Sn 0.560 0.747 0.455
6 Sn 0.747 0.560 0.955
7 Au 0.064 0.616 0.230
8 Au 0.098 0.155 0.656
9 Au 0.155 0.098 0.156
10 Au 0.248 0.497 0.545
11 Au 0.384 0.936 0.270
12 Au 0.497 0.248 0.045
13 Au 0.503 0.752 0.955
14 Au 0.616 0.064 0.730
15 Au 0.752 0.503 0.455
16 Au 0.845 0.902 0.844
17 Au 0.902 0.845 0.344
18 Au 0.936 0.384 0.770

Properties
Magnetic moment in μB/atom: 0.00
*/

• Request:
Now search the data further above for the word "DOS" and type out each line that has it.

• Here it is:
DOS at the Fermi energy in states/eV/cell: 6.63
DOS at the Fermi energy in states/eV/cell: 1.96
DOS at the Fermi energy in states/eV/cell: 3.46
DOS at the Fermi energy in states/eV/cell: 2.32